Tuesday, September 22, 2009

Oh tuesday tuesday....

As most of you who come across this blog would know, I am embarking on a YouTube Weightloss Journey. I find it incredibly difficult to oftentimes express myself in the alotted time I give myself for these videos and thought a blog would be able to cover anything I might just want to randomly spew from this brain of mine.

I wanted to fancy this up, pretty this up with cute graphics and such but as I was searching my laptop for a particular image I came across pictures of myself when i was in "ONE-derland".... and my heart sank a little.

Tonight I sit here weighing 217 pounds and I know its not far from such a one-derous place but I think after all the highs i've been on these photos kinda struck me a little low.

How does one go from this:


I'm quite baffled... and to be perfectly honest... quite disappointed in myself.
Granted in those top pics I was somewhere around 180 pounds (still overweight) but the difference is astounding. These last photos were of me between 230-240....

The most recent of those pics was the one in the white jacket. That was me on August 8th, 2009 weighing in at a hearty 240 pounds.

Today as I type this I am down to 217 pounds... accomplishments have been made, goals have been met and I have been feeling so wonderful the last few weeks that I didnt think anything could bring me off this high.

Until I saw the photos that is. Now one might think, "Francesca, you should be happy that youre on your way back to looking like your old self".... that of course, would be the LOGICAL thing to think........... and believe me, I see the difference in my body, the difference in my clothes but I still couldn't help but feel a little envious of the girl in the first photos.

I WILL become her again, only a healthier version of her. I just have to remind myself that this will all take time. I didn't gain the weight overnight, so why should I expect instant results?

For now I would like to thank the YouTube community for being SO INCREDIBLY supportive thus far in my life. I can honestly say I have a place in my heart for many of you and you probably don't even realize it.

Why? Because I know I'm not alone... and in this world with obesity epidemics its hard to say I feel alone but... to see you guys day in and day out venturing out on this same path is just too much to express into words.

XOXO Youtube.



  1. Awh Youtube loves you too Francesca! I was super excited to see you have a blogspot journal... I just re-opened mine up earlier today :)

    I definitely know how you feel looking back on the pictures when you are lighter, I have that same thing going on... wishing I knew then what I knew now, so I could have just avoided this whole big mess. And how I felt fat even then... but now when I look back at the pics I would KILL to be that girl again.

    Anyways, this is exciting! Yay!

    Love Skye

  2. Its rought but YES you and i will both be the way we used to only this time we will appreciate it ten-fold!!! Im excited that other people have blogs as well as youtube!! yay!

_These data records were left in the page by mistake_
- - -
The following is a GGA+U calculation of crystalline MgZrMo2O8 at its relaxed geometry, from the Materials Project database.

Cell: 5.6831 5.6834 6.3824 Å, 82.34 82.38 62.64°
Space group P1 (No. 1)
Asymmetric unit:
1 Mg 0.0000 0.0000 0.0000
2 Zr 0.2973 0.2975 0.1458
3 Mo 0.6535 0.6547 0.8207
4 Mo 0.9249 0.9249 0.4599
5 O 0.1267 0.1263 0.3635
6 O 0.1270 0.6744 0.2313
7 O 0.3952 0.9531 0.9479
8 O 0.4652 0.4676 0.8576
9 O 0.6745 0.1273 0.2310
10 O 0.6941 0.6936 0.5375
11 O 0.8887 0.8892 0.7659
12 O 0.9514 0.3961 0.9486

Summary:
Calculated volume (Å³ per atom): 15.071
Total magnetization (μB/f.u.): 2.000
E (eV per atom): -7.454
ρ (kg/m³): 3998


The following is a GGA+U calculation of crystalline Li3MnFe2B3O9 at its relaxed geometry, from the Materials Project database.

Cell: 8.2602 3.1490 14.3041 Å, 90.00 90.11 90.00°
Space group Pm (No. 6)
Asymmetric unit:
1 Li 0.0000 0.0000 0.0000
2 Li 0.0247 0.0000 0.2948
3 Li 0.0749 0.0000 0.6615
4 Li 0.5029 0.0000 0.5018
5 Li 0.5286 0.0000 0.7937
6 Li 0.5753 0.0000 0.1590
7 Mn 0.1759 0.5000 0.4718
8 Mn 0.2344 0.5000 0.1457
9 Fe 0.1926 0.5000 0.8352
10 Fe 0.6801 0.5000 0.9715
11 Fe 0.6920 0.5000 0.3351
12 Fe 0.7313 0.5000 0.6479
13 B 0.3687 0.0000 0.9831
14 B 0.3700 0.5000 0.6519
15 B 0.3705 0.0000 0.3185
16 B 0.8651 0.0000 0.4857
17 B 0.8667 0.5000 0.1524
18 B 0.8682 0.0000 0.8183
19 O 0.0044 0.5000 0.2081
20 O 0.0195 0.0000 0.5265
21 O 0.0204 0.0000 0.8606
22 O 0.2169 0.5000 0.6939
23 O 0.2288 0.0000 0.3712
24 O 0.2305 0.0000 0.0396
25 O 0.3511 0.0000 0.8863
26 O 0.3606 0.0000 0.2213
27 O 0.3844 0.5000 0.5555
28 O 0.5085 0.5000 0.7080
29 O 0.5206 0.0000 0.3623
30 O 0.5221 0.0000 0.0237
31 O 0.7137 0.5000 0.1934
32 O 0.7295 0.0000 0.5433
33 O 0.7291 0.0000 0.8732
34 O 0.8492 0.0000 0.3890
35 O 0.8557 0.0000 0.7213
36 O 0.8801 0.5000 0.0548

Summary:
Calculated volume (Å³ per atom): 10.335
E (eV per atom): -7.055
ρ (kg/m³): 3248


The following is a GGA+U calculation of crystalline La18Ni12O41 at its relaxed geometry, from the Materials Project database.

Cell: 10.0791 10.2173 10.7414 Å, 91.81 91.97 106.64°
Space group P1 (No. 1)
Asymmetric unit:
1 La 0.0000 0.0000 0.0000
2 La 0.0003 0.2985 0.7903
3 La 0.1644 0.5548 0.1336
4 La 0.1805 0.0360 0.7110
5 La 0.1988 0.6658 0.7032
6 La 0.2090 0.3745 0.4843
7 La 0.2945 0.9918 0.3993
8 La 0.2975 0.2399 0.1402
9 La 0.4547 0.6857 0.3647
10 La 0.5554 0.1882 0.8342
11 La 0.5567 0.2732 0.4903
12 La 0.5650 0.8143 0.8928
13 La 0.6569 0.0379 0.2715
14 La 0.7740 0.4047 0.0734
15 La 0.7793 0.7395 0.1750
16 La 0.8330 0.8513 0.5277
17 La 0.8409 0.6568 0.8075
18 La 0.8966 0.4822 0.4116
19 Ni 0.0089 0.0703 0.3319
20 Ni 0.0897 0.8194 0.2029
21 Ni 0.1163 0.7478 0.4487
22 Ni 0.2538 0.9000 0.9282
23 Ni 0.3292 0.9405 0.1468
24 Ni 0.3954 0.3806 0.7348
25 Ni 0.4680 0.9585 0.6285
26 Ni 0.4946 0.4818 0.9457
27 Ni 0.5098 0.6252 0.6063
28 Ni 0.5387 0.4655 0.2079
29 Ni 0.8153 0.1471 0.5823
30 Ni 0.9496 0.2406 0.1961
31 O 0.0052 0.5249 0.8286
32 O 0.0192 0.8764 0.3518
33 O 0.0528 0.4017 0.2882
- - -

  3. Francesca

    Don't be so hard on yourself. You are doing great.I've been watching your videos and you are working out. You are doing what you can when you can. You've already lost quite a bit of weight. You are right. It doesn't happen over night. It has taken me 1 1/2 years to lose 30 pounds. I see others lose weight at a faster weight and I figure... WTH. Time is going to march on, nad I might as well be working towards a lower weight. I've said it many times... slow and steady wins the race.

    You'll get there--we'll get there. Si se puede!!
